• Listing:
First-principles (PBE-GGA) data for ScCu2Ir after structural relaxation, as listed in Alexandria via LeMat-Bulk.

a b c (Å): 3.7038 3.7038 18.7425
angles (deg): 90.00 90.00 90.00
Space group I-42d (No. 122)
Asymmetric unit:
Sc 0.0000 0.0000 0.0000
Cu 0.2165 0.2500 0.6250
Ir 0.0000 0.0000 0.5000

The calculation puts the formation enthalpy at 0 K at -0.275 eV per formula unit. Its total energy is -5.91 eV per atom.

=====

First-principles (PBE-GGA) data for BTe2MoN after structural relaxation, as listed in Alexandria via LeMat-Bulk.

a b c (Å): 5.6227 5.6227 2.8117
angles (deg): 90.00 90.00 90.00
Space group P4/mmm (No. 123)
Asymmetric unit:
B 0.0000 0.0000 0.0000
Te 0.0000 0.5000 0.0000
Mo 0.5000 0.5000 0.5000
N 0.0000 0.0000 0.5000

Its total energy is -5.77 eV per atom. For the formation energy without anion corrections, the calculation gives 0.65 eV/atom.

=====
• Brief:
Count the lines further up that contain the word "unit" and give the number alone.
• Response:
3